Supreme Court finds teacher who used camera pen guilty of voyeurism
Reasonable expectation of privacy at centre of Thursday morning's unanimous decision

The Supreme Court of Canada says a London, Ont., teacher who secretly filmed female students' chests with a camera pen is guilty of voyeurism — a ruling that could have an impact on future privacy-related cases.
At issue in the case was whether the students — youths aged 14 to 18 — had a reasonable expectation of privacy when they were being secretly recorded by Ryan Jarvis on school property.
In a unanimous decision Thursday morning, the top court said students doing everyday activities at school don't give up their privacy rights — even if the school maintains security cameras.
The case marks the first time the top court has had to dive into the implications of voyeurism, a Criminal Code charge introduced back in 2005. It covers the act of secretly watching or recording for a sexual purpose someone who has a reasonable expectation of privacy.
Writing for the majority of the bench, Chief Justice Richard Wagner said privacy is the "concept of freedom from unwanted scrutiny, intrusion or attention."
"The explicit focus of the videos on the bodies of the students recorded, including their breasts, leaves me in no doubt that the videos were made in violation of the students' reasonable expectations of privacy," he wrote.
The case dates back to late 2010, when Jarvis was caught secretly filming students' faces, chests and cleavage areas.
The videos, which range from six seconds in length to just over two-and-a-half minutes, often involved Jarvis talking to the students in classrooms and the school's hallway.
In 2015 the trial judge determined that Jarvis had violated the students' privacy by using a so-called spy pen. But Justice Andrew Goodman wasn't satisfied the videos were filmed for a sexual purpose and acquitted Jarvis.
The Ontario Court of Appeal went another way. Most of the judges on that bench ruled that Jarvis did act with sexual intent, but still upheld his acquittal, arguing the students had no reasonable expectation of privacy at school.
Materials data that have nothing to do with the page:
********
Record 1
The following is a computed powder X-ray diffraction pattern of PuMgZn3. It was derived from DFT lattice parameters and positions (GGA-PBE), using Cu Kα.
Lines closer than 0.1° are merged.

Structure:
a b c (Å): 6.442 6.442 5.785
angles (deg): 90.00 90.00 120.00
Fractional coordinates of all 10 atoms:
Pu 0.333 0.667 0.250
Pu 0.667 0.333 0.750
Mg 0.000 0.000 0.000
Mg 0.000 0.000 0.500
Zn 0.202 0.404 0.750
Zn 0.202 0.798 0.750
Zn 0.404 0.202 0.250
Zn 0.596 0.798 0.750
Zn 0.798 0.202 0.250
Zn 0.798 0.596 0.250

Largest 12 diffraction maxima, low angle first, 10° ≤ 2θ ≤ 90°:
- 2θ 15.89, I = 32.3
- 2θ 22.14, I = 29.2
- 2θ 27.69, I = 37.5
- 2θ 30.92, I = 35.6
- 2θ 32.09, I = 18.2
- 2θ 34.94, I = 22.0
- 2θ 35.73, I = 100.0
- 2θ 41.98, I = 14.9
- 2θ 45.16, I = 23.3
- 2θ 45.80, I = 35.0
- 2θ 58.16, I = 24.4
- 2θ 62.09, I = 15.2


Record 2
The following is a computed powder X-ray diffraction pattern of NpBiH8Ir2. It was derived from DFT lattice parameters and positions (GGA-PBE), using Cu Kα.
Lines closer than 0.1° are merged.

Structure:
a b c (Å): 7.182 7.182 7.182
angles (deg): 37.75 37.75 37.75
Fractional coordinates of all 12 atoms:
Np 0.000 0.000 0.000
Bi 0.500 0.500 0.500
H 0.031 0.031 0.638
H 0.031 0.638 0.031
H 0.331 0.331 0.331
H 0.362 0.969 0.969
H 0.638 0.031 0.031
H 0.669 0.669 0.669
H 0.969 0.362 0.969
H 0.969 0.969 0.362
Ir 0.249 0.249 0.249
Ir 0.751 0.751 0.751

Largest 12 diffraction maxima, low angle first, 10° ≤ 2θ ≤ 90°:
- 2θ 28.48, I = 100.0
- 2θ 38.76, I = 45.3
- 2θ 42.60, I = 34.9
- 2θ 48.80, I = 23.6
- 2θ 55.15, I = 5.6
- 2θ 58.94, I = 13.5
- 2θ 63.99, I = 21.4
- 2θ 69.44, I = 16.9
- 2θ 70.17, I = 8.2
- 2θ 72.80, I = 14.8
- 2θ 80.52, I = 5.7
- 2θ 83.17, I = 5.3


Record 3
The following is a computed powder X-ray diffraction pattern of In3SCl7. It was derived from DFT lattice parameters and positions (GGA-PBE), using Cu Kα.
Lines closer than 0.1° are merged.

Structure:
a b c (Å): 7.460 7.460 9.147
angles (deg): 126.81 126.81 61.09
Fractional coordinates of all 11 atoms:
In 0.000 0.000 0.000
In 0.000 0.523 0.523
In 0.523 0.000 0.523
S 0.729 0.729 0.684
Cl 0.232 0.232 0.668
Cl 0.232 0.754 0.191
Cl 0.277 0.799 0.839
Cl 0.290 0.290 0.345
Cl 0.754 0.232 0.191
Cl 0.798 0.798 0.361
Cl 0.799 0.277 0.839

Largest 12 diffraction maxima, low angle first, 10° ≤ 2θ ≤ 90°:
- 2θ 13.48, I = 10.8
- 2θ 13.78, I = 100.0
- 2θ 15.15, I = 31.8
- 2θ 27.15, I = 15.1
- 2θ 30.45, I = 30.6
- 2θ 30.63, I = 59.9
- 2θ 39.03, I = 16.3
- 2θ 39.14, I = 14.4
- 2θ 39.35, I = 35.4
- 2θ 47.98, I = 27.8
- 2θ 50.22, I = 13.3
- 2θ 50.80, I = 15.6


Record 4
The following is a computed powder X-ray diffraction pattern of Ho4ErZr. It was derived from DFT lattice parameters and positions (GGA-PBE), using Cu Kα.
Lines closer than 0.1° are merged.

Structure:
a b c (Å): 16.805 3.479 6.069
angles (deg): 90.00 97.01 90.00
Fractional coordinates of all 12 atoms:
Ho 0.160 0.000 0.391
Ho 0.165 0.500 0.883
Ho 0.335 0.000 0.117
Ho 0.340 0.500 0.609
Ho 0.660 0.500 0.391
********
That court pointed to the presence of 24-hour surveillance security cameras in and around the school, "which were clearly visible to everyone."
However, one of the appeal court judges dissented, triggering the Supreme Court hearing.
While all nine justices agreed Jarvis should be found guilty, they came at that conclusion from two different directions.
Writing for the majority, Wagner stressed that privacy is "not an all-or-nothing-concept" and "being in a public or semi-public space does not automatically negate all expectations of privacy with respect to observation or recording."
"The use of a cell phone to capture upskirt images of women on public transit, the use of a drone to take high-resolution photographs of unsuspecting sunbathers at a public swimming pool, and the surreptitious video recording of a woman breastfeeding in a quiet corner of a coffee shop would all raise similar privacy concerns," he wrote.
In a concurring decision, Supreme Court Justice Malcolm Rowe expressed some concerns but ultimately agreed with the court's conclusion.
Rowe argued that using the Charter to interpret Parliament's intention when it introduced the voyeurism charge "would put the judiciary in the position of creating new common law offences."
"Courts should not expand criminal liability by reference to Charter jurisprudence," he wrote.
"With respect, I would not adopt such a multi-factored test to decide whether there is a reasonable expectation of privacy in the context of the voyeurism offence."
<<<
[1]
Cd2Ag: simulated powder diffractogram (Cu Ka), based on a crystal structure in OQMD, relaxed with PBE.
Lines closer than 0.1° are merged.

Peak list (8 most intense, 15° ≤ 2θ ≤ 90°, sorted by position)
| two_theta | intensity |
| --- | --- |
| 33.6 | 25 |
| 37.3 | 25 |
| 38.6 | 100 |
| 51.1 | 14 |
| 60.1 | 17 |
| 68.2 | 17 |
| 72.9 | 19 |
| 73.8 | 14 |

Cell and atoms:
Cell: 5.3298 5.3298 4.8199 Å, 90.00 90.00 120.00°
Sites, in units of the cell vectors:
1 Cd 0.0000 0.0000 0.0000
2 Cd 0.0000 0.3391 0.5000
3 Cd 0.3391 0.0000 0.5000
4 Cd 0.6609 0.6609 0.5000
5 Ag 0.3333 0.6667 0.0000
6 Ag 0.6667 0.3333 0.0000



[2]
ZnAu17: simulated powder diffractogram (Cu Ka), based on a crystal structure in OQMD, relaxed with PBE.
Lines closer than 0.1° are merged.

Peak list (8 most intense, 15° ≤ 2θ ≤ 90°, sorted by position)
| two_theta | intensity |
| --- | --- |
| 35.5 | 43 |
| 37.2 | 39 |
| 38.1 | 100 |
| 38.3 | 38 |
| 42.7 | 40 |
| 44.2 | 42 |
| 44.5 | 21 |
| 64.7 | 26 |

Cell and atoms:
Cell: 4.9800 5.8092 35.4369 Å, 90.00 90.02 90.00°
Sites, in units of the cell vectors:
1 Zn 0.1671 0.2500 0.2775
2 Zn 0.8329 0.7500 0.7225
3 Au 0.0000 0.0000 0.0000
4 Au 0.0000 0.5000 0.0000
5 Au 0.0008 0.0015 0.2093
6 Au 0.0008 0.4985 0.2093
7 Au 0.1663 0.7500 0.0697
8 Au 0.1669 0.2500 0.0696
9 Au 0.1669 0.2500 0.8607
10 Au 0.1669 0.7500 0.2793
11 Au 0.1665 0.7500 0.8607
12 Au 0.3332 0.0000 0.1393
13 Au 0.3334 0.9998 0.9304
14 Au 0.3332 0.5000 0.1393
15 Au 0.3334 0.5002 0.9304
16 Au 0.3336 0.5051 0.7205
17 Au 0.3336 0.9949 0.7205
18 Au 0.4971 0.2500 0.2091
19 Au 0.4986 0.2500 0.7914
20 Au 0.5000 0.2500 0.0000
21 Au 0.5000 0.7500 0.0000
22 Au 0.5014 0.7500 0.2086
23 Au 0.5029 0.7500 0.7909
24 Au 0.6664 0.0051 0.2795
25 Au 0.6664 0.4949 0.2795
26 Au 0.6666 0.0002 0.0696
27 Au 0.6668 0.0000 0.8607
28 Au 0.6666 0.4998 0.0696
29 Au 0.6668 0.5000 0.8607
30 Au 0.8335 0.2500 0.1393
31 Au 0.8331 0.2500 0.7207
32 Au 0.8331 0.7500 0.1393
33 Au 0.8331 0.7500 0.9304
34 Au 0.8337 0.2500 0.9303
35 Au 0.9992 0.5015 0.7907
36 Au 0.9992 0.9985 0.7907



[3]
NaSrTaPd: simulated powder diffractogram (Cu Ka), based on a crystal structure in OQMD, relaxed with PBE.
Lines closer than 0.1° are merged.

Peak list (8 most intense, 15° ≤ 2θ ≤ 90°, sorted by position)
| two_theta | intensity |
| --- | --- |
| 21.6 | 22 |
| 25.0 | 14 |
| 35.6 | 100 |
| 42.0 | 12 |
| 51.2 | 18 |
| 63.9 | 36 |
| 75.4 | 11 |
| 86.2 | 16 |

Cell and atoms:
Cell: 5.0438 5.0438 5.0438 Å, 60.00 60.00 60.00°
Sites, in units of the cell vectors:
1 Na 0.0000 0.0000 0.0000
2 Sr 0.7500 0.7500 0.7500
3 Ta 0.2500 0.2500 0.2500
4 Pd 0.5000 0.5000 0.5000



[4]
BeFe2Pb: simulated powder diffractogram (Cu Ka), based on a crystal structure in OQMD, relaxed with PBE.
Lines closer than 0.1° are merged.

Peak list (8 most intense, 15° ≤ 2θ ≤ 90°, sorted by position)
| two_theta | intensity |
| --- | --- |
| 25.0 | 31 |
| 29.0 | 20 |
| 32.5 | 76 |
| 41.5 | 100 |
| 44.1 | 30 |
| 62.1 | 24 |
| 68.1 | 19 |
| 75.6 | 24 |
>>>
The 'right' result
The decision is getting applause from privacy watchdogs and women's rights groups.
A spokesperson for the federal privacy commissioner said the case could have a wider impact on scenarios involving public surveillance.
"We were pleased to see the court reaffirm that privacy must be evaluated in light of changing technologies, which can make it easier for the state and private entities to 'glean, store and disseminate information' about individuals, and that privacy should not correspondingly shrink as a result," wrote Tobi Cohen in an email to CBC News.
"More generally, the court was sensitive to the important privacy interests at play – young people's bodies and their reasonable expectation to be free from being recorded for a sexual purpose by someone in a position of trust."

Lawyer Gillian Hnatiw, vice-chair of the Women's Legal Education and Action Fund board — an intervener in the case — said the decision should lay out a "very thoughtful test" for determining what a 'reasonable expectation of privacy' means in the context of a sexual crime.
"It has intentionally extended protections to women in all sorts of public and quasi-public spaces," she said.
"Going forward, each case will turn on its facts, as cases always do. But this gives trial courts across the country scope to recognize that this is about more than just privacy, that it's also about sexual integrity."
Jarvis's lawyers call it 'troubling'
Ontario's Information and Privacy Commissioner Brian Beamish, who also acted as an intervener, called it the "right result."
"I think primarily they recognize that the question of whether someone's privacy interests have been violated is not simply a matter of asking whether they were in a public place or not, that context really does matter," he said.
"I like the fact that the court also recognized the importance of the integrity of the person. The court used examples that underline ... that people have the right to feel that their bodies are not being targeted, whether that's at a school or on a bus or on the subway ... I think that's a really important principle."
Jarvis's lawyers released a statement Thursday calling the majority's decision "a troubling judgment."
"The criminal law has traditionally been guided by a sense of fairness that prioritizes certainty, restraint and fair notice. The majority's approach is, arguably, a profound departure from these values," wrote Zachary Kerbel and Saman Wickramasinghe.
The lawyers said they worry the Supreme Court's "expansive" definition of what constitutes a reasonable expectation of privacy casts "the net of criminal liability too wide."
"The majority's decision risks eroding this distinction and capturing conduct which, while offensive, ought not to attract the personal ruin, stigma and deprivation of liberty that accompanies a conviction for a criminal offence," they said.